Ceramic decoration: an art, an industry and also – especially over the last five years – a technology. Two technologies, in fact. The first, which goes back a good three decades, is decoration by contact. The second, on the up and up, of a potential that is as huge as it is unexplored, is ink-jet digital decoration, almost as if our desk-top printers had suddenly developed the potential to produce tiles. Very high resolution, flexibility: the opportunity, then, to create products that could not otherwise be created, all the way to achieving the “dream” – great, but up to a point– of “personalised tiles” at relatively accessible costs.
# Someone pasted materials data at this point
'''
## Na3FeSe (PBE)

Data for a relaxed Na3FeSe crystal.

```
Na3FeSe
1.0
5.394 0.000 0.000
0.000 5.394 0.000
0.000 0.000 5.394
Na Fe Se
3 1 1
direct
0.000 0.000 0.500
0.000 0.500 0.000
0.500 0.000 0.000
0.000 0.000 0.000
0.500 0.500 0.500
```

Values from the calculation:
For the energy above the most stable polymorph in this dataset, the calculation gives 376 meV per atom. Its space-group type is Pm-3m, No. 221. As for the formation energy (no corrections): 0.52 eV/atom.

## ZnMo2Au (PBE)

Data for a relaxed ZnMo2Au crystal.

```
ZnMo2Au
1.0
3.986 0.000 0.000
0.000 3.986 0.000
0.000 0.000 7.982
Zn Mo Au
2 4 2
direct
0.000 0.000 0.000
0.500 0.500 0.500
0.000 0.000 0.500
0.000 0.500 0.250
0.500 0.000 0.750
0.500 0.500 0.000
0.000 0.500 0.750
0.500 0.000 0.250
```

Values from the calculation:
The value obtained for the formation energy is 0.21 eV/atom. Its space-group type is I-4m2, No. 119.

## Pr5Ho2Er12 (PBE)

Data for a relaxed Pr5Ho2Er12 crystal.

```
Pr5Ho2Er12
1.0
7.805 -4.637 0.000
7.805 4.637 0.000
-0.323 0.000 8.618
Pr Ho Er
5 2 12
direct
0.000 0.000 0.000
0.231 0.231 0.070
0.293 0.293 0.482
0.707 0.707 0.518
0.769 0.769 0.930
0.326 0.674 0.500
0.674 0.326 0.500
0.032 0.674 0.261
0.075 0.075 0.377
0.181 0.561 0.831
0.326 0.968 0.739
0.439 0.819 0.169
0.444 0.444 0.165
0.556 0.556 0.835
0.561 0.181 0.831
0.674 0.032 0.261
0.819 0.439 0.169
0.925 0.925 0.623
0.968 0.326 0.739
```

Values from the calculation:
The value obtained for the formation energy is 0.12 eV/atom. For the energy above the most stable polymorph in this dataset, the calculation gives 0 meV per atom. Its space-group type is C2/m, No. 12.

## NpU2MoC4 (PBE)

Data for a relaxed NpU2MoC4 crystal.

```
NpU2MoC4
1.0
5.838 0.000 0.000
0.000 3.349 0.000
-1.883 0.000 5.550
Np U Mo C
1 2 1 4
direct
0.000 0.000 0.000
0.500 0.000 0.500
0.500 0.500 0.000
0.000 0.500 0.500
0.229 0.000 0.729
0.235 0.500 0.269
0.765 0.500 0.731
0.771 0.000 0.271
```

Values from the calculation:
The value obtained for the formation energy is -0.10 eV/atom. Its space-group type is P2/m, No. 10.

## ZnSi4Hg (PBE)

Data for a relaxed ZnSi4Hg crystal.

```
ZnSi4Hg
1.0
0.000 3.741 3.741
3.741 0.000 3.741
3.741 3.741 0.000
Zn Si Hg
1 4 1
direct
0.000 0.000 0.000
0.374 0.374 0.374
0.374 0.374 0.878
0.374 0.878 0.374
0.878 0.374 0.374
0.750 0.750 0.750
```

Values from the calculation:
Its space-group type is F-43m, No. 216. As for the formation energy (no corrections): 0.54 eV/atom.

## Al2GaSb2 (PBE)

Data for a relaxed Al2GaSb2 crystal.

```
Al2GaSb2
1.0
7.918 0.000 0.000
0.000 7.918 0.000
0.000 0.000 3.726
Al Ga Sb
4 2 4
direct
0.132 0.368 0.000
0.368 0.868 0.000
0.632 0.132 0.000
0.868 0.632 0.000
0.000 0.000 0.500
0.500 0.500 0.500
0.164 0.664 0.500
0.336 0.164 0.500
0.664 0.836 0.500
0.836 0.336 0.500
```

Values from the calculation:
'''
# So much for the materials data
A revolutionary opportunity, then, and one that colouring plants and the major ceramic machinery producers have leapt at, with several machines (and relative inks) being launched on the market as of 2005. However, that revolution is not without its uncertainties and problems, so it’s hardly surprising that an industry leader such as Sacmi has waited a while before marrying digital technology.
(Someone pasted calculated crystals at this point)
'''
Ca2Cu at its PBEsol-relaxed geometry. Source: Alexandria, functional meta-GGA SCAN.

Properties
N(E_F): 0.86 states/eV/atom
Space group: I4/mmm, No. 139
Total energy: -34.61 eV for the cell shown
Formation energy: -0.027 eV/atom

a b c (Å): 6.9124 6.9124 6.9124
angles (deg): 150.20 150.20 42.65
Last column: nearest neighbours and their distance in Å.
Element x y z (fractional)
Ca1 0.1315 0.1315 0.0000  4 Cu 3.03, 1 Ca 3.39
Ca2 0.8685 0.8685 0.0000  4 Cu 3.03, 1 Ca 3.39
Cu1 0.5000 0.5000 0.0000  8 Ca 3.03

---

Cs2I4O11 at its PBEsol-relaxed geometry. Source: Alexandria, functional meta-GGA SCAN.

Properties
Polymorph energy (0 for the lowest one): 0.0 kJ/mol of atoms
N(E_F): 0.00 states/eV/atom
Space group: P2_1/c, No. 14
Total energy: -1217.46 eV for the cell shown

a b c (Å): 12.6200 7.3005 15.8774
angles (deg): 90.00 121.97 90.00
Last column: nearest neighbours and their distance in Å.
Element x y z (fractional)
Cs1 0.1237 0.2478 0.0597  9 O 3.17-3.38
Cs2 0.1237 0.2522 0.5597  9 O 3.17-3.38
Cs3 0.3712 0.2487 0.4312  9 O 3.13-3.33
Cs4 0.3712 0.2513 0.9312  9 O 3.13-3.33
Cs5 0.6288 0.7487 0.0688  9 O 3.13-3.33
Cs6 0.6288 0.7513 0.5688  9 O 3.13-3.33
Cs7 0.8763 0.7478 0.4403  9 O 3.17-3.38
Cs8 0.8763 0.7522 0.9403  9 O 3.17-3.38
I1 0.0112 0.5038 0.2379  3 O 1.82-2.03
I2 0.0112 0.9962 0.7379  3 O 1.82-2.03
I3 0.2359 0.7159 0.7345  2 O 1.82
I4 0.2359 0.7841 0.2345  2 O 1.82
I5 0.2653 0.7288 0.4954  3 O 1.84
I6 0.2653 0.7712 0.9954  3 O 1.84
I7 0.4853 0.0346 0.7390  3 O 1.82-2.00
I8 0.4853 0.4654 0.2390  3 O 1.82-2.00
I9 0.5147 0.5346 0.7610  3 O 1.82-2.00
I10 0.5147 0.9654 0.2610  3 O 1.82-2.00
I11 0.7347 0.2288 0.0046  3 O 1.84
I12 0.7347 0.2712 0.5046  3 O 1.84
I13 0.7641 0.2159 0.7655  2 O 1.82
I14 0.7641 0.2841 0.2655  2 O 1.82
I15 0.9888 0.0038 0.2621  3 O 1.82-2.03
I16 0.9888 0.4962 0.7621  3 O 1.82-2.03
O1 0.0588 0.7423 0.7177  2 I 2.03-2.12
O2 0.0588 0.7577 0.2177  2 I 2.03-2.12
O3 0.0790 0.5444 0.8952  1 I 1.83
O4 0.0790 0.9556 0.3952  1 I 1.83
O5 0.1083 0.1148 0.2490  1 I 1.82
O6 0.1083 0.3852 0.7490  1 I 1.82
O7 0.1613 0.5410 0.4195  1 I 1.84
O8 0.1613 0.9590 0.9195  1 I 1.84
O9 0.1633 0.6794 0.6014  1 I 1.82
O10 0.1633 0.8206 0.1014  1 I 1.82
O11 0.2371 0.5350 0.2387  1 I 1.82
O12 0.2371 0.9650 0.7387  1 I 1.82
O13 0.3260 0.7007 0.9174  1 I 1.84
O14 0.3260 0.7993 0.4174  1 I 1.84
O15 0.3821 0.0268 0.6043  1 I 1.82
O16 0.3821 0.4732 0.1043  1 I 1.82
O17 0.3881 0.1107 0.2459  1 I 1.82
O18 0.3881 0.3893 0.7459  1 I 1.82
O19 0.3994 0.5826 0.5799  1 I 1.84
O20 0.3994 0.9174 0.0799  1 I 1.84
O21 0.4195 0.7474 0.2622  2 I 2.00-2.13
O22 0.4195 0.7526 0.7622  2 I 2.00-2.13
O23 0.5805 0.2474 0.2378  2 I 2.00-2.13
O24 0.5805 0.2526 0.7378  2 I 2.00-2.13
O25 0.6006 0.0826 0.9201  1 I 1.84
O26 0.6006 0.4174 0.4201  1 I 1.84
O27 0.6119 0.6107 0.2541  1 I 1.82
O28 0.6119 0.8893 0.7541  1 I 1.82
O29 0.6179 0.5268 0.8957  1 I 1.82
O30 0.6179 0.9732 0.3957  1 I 1.82
O31 0.6740 0.2007 0.5826  1 I 1.84
O32 0.6740 0.2993 0.0826  1 I 1.84
'''
(Here the text continues)
The latest development – which will officially be presented at Tecnargilla 2008 – is called the DWD065. Most importantly, this machine uses ceramic inks highly similar to those traditionally employed in “traditional” ceramic decoration. Why? A lot of digital pioneers hate to admit it, but with digital – up until yesterday, of course - you can’t do everything: it’s one thing to print on paper, quite another to do so on a tile. This is because most digital machines currently on the market use a quadricolour process (just like that printer on your desk), which excludes quite a chunk of the colour spectrum typical, let’s say, of standard decoration. Reds, for example, present a real problem for digital decorators. As do thick whites and metallic lustres (in this case because it is impossible to pour large quantities of the material onto the tile). With the new Sacmi machine it is, instead, possible to apply any type of ceramic pigment-based ink without any limitations as to the nature or colour of the pigment - all thanks to print units that use patented Flatjet technology: this is the very heart of the system, a micro-nozzle larger than the ‘inkjet’, which was, until now, the very synonym of digital decoration simply through a sheer lack of alternatives. Fitted in rows – as large as the tile that needs to be printed – these nozzles work independently and are controlled by advanced software.
[Inserted here: crystal structures]
........
Entry 1:
Below is Si3SeO after structural relaxation, with properties calculated at the PBE level.

Results
The energy relative to the elements, uncorrected comes out at 1.5550 eV per atom. The value obtained for the distance to the lowest polymorph of the same formula is 1164 meV/atom. The calculation puts the density of states at the Fermi level at 7.597 states/eV per cell.

abc: 4.9234 4.9234 4.9234
angles: 90.00 90.00 90.00
Element x y z (fractional)
1 Si 0.0000 0.0000 0.5000
2 Si 0.0000 0.5000 0.0000
3 Si 0.5000 0.0000 0.0000
4 Se 0.0000 0.0000 0.0000
5 O 0.5000 0.5000 0.5000

=====

Entry 2:
Below is ZrOsPt2 after structural relaxation, with properties calculated at the PBE level.

Results
The calculation puts the density of states at the Fermi level at 2.468 states/eV per cell. The calculation puts the energy relative to the elements at -108.9 meV per atom.

abc: 9.5883 9.5883 9.5883
angles: 16.97 16.97 16.97
Element x y z (fractional)
1 Zr 0.0000 0.0000 0.0000
2 Os 0.5000 0.5000 0.5000
3 Pt 0.2458 0.2458 0.2458
4 Pt 0.7542 0.7542 0.7542

=====

Entry 3:
Below is LaTa2Zn after structural relaxation, with properties calculated at the PBE level.

Results
The calculation puts the density of states at the Fermi level at 3.855 states/eV per cell. The calculation puts the energy relative to the elements at 450.5 meV per atom.

abc: 3.1915 5.0844 5.3044
angles: 90.00 96.02 90.00
Element x y z (fractional)
1 La 0.0000 0.0000 0.0000
2 Ta 0.3530 0.5000 0.7315
3 Ta 0.6470 0.5000 0.2685
4 Zn 0.5000 0.0000 0.5000

=====

Entry 4:
Below is MnBe2Te after structural relaxation, with properties calculated at the PBE level.

Results
The energy relative to the elements, uncorrected comes out at 0.3656 eV per atom. The calculation puts the density of states at the Fermi level at 2.276 states/eV per cell.

abc: 3.2866 3.2866 5.0171
angles: 90.00 90.00 90.00
Element x y z (fractional)
1 Mn 0.0000 0.0000 0.0000
2 Be 0.5000 0.5000 0.2074
3 Be 0.5000 0.5000 0.7926
4 Te 0.0000 0.0000 0.5000

=====

Per-record total moment, μB/atom: 0.00 0.00 0.00 0.51

=====

Density functional theory data (PBE) for Sc2NiAg2 after structural relaxation.

Calculated values
As for the space group: P4/mbm (127). For the formation energy, the calculation gives -0.87 kcal/mol of atoms.

a = 7.0730 Å, b = 7.0730 Å, c = 3.8557 Å
α = 90.00°, β = 90.00°, γ = 90.00°
With the nearest neighbours (Å) after each atom.
Sites, in units of the cell vectors:
Sc 0.1724 0.3276 0.0000  6 Ag 2.72-2.92
Sc 0.3276 0.8276 0.0000  6 Ag 2.72-2.92
Sc 0.6724 0.1724 0.0000  6 Ag 2.72-2.92
Sc 0.8276 0.6724 0.0000  6 Ag 2.72-2.92
Ni 0.0000 0.0000 0.5000  4 Ag 2.75
Ni 0.5000 0.5000 0.5000  4 Ag 2.75
Ag 0.1358 0.6358 0.5000  1 Ag 2.72, 6 Sc 2.72-2.92, 2 Ni 2.75
Ag 0.3642 0.1358 0.5000  1 Ag 2.72, 6 Sc 2.72-2.92, 2 Ni 2.75
Ag 0.6358 0.8642 0.5000  1 Ag 2.72, 6 Sc 2.72-2.92, 2 Ni 2.75
Ag 0.8642 0.3642 0.5000  1 Ag 2.72, 6 Sc 2.72-2.92, 2 Ni 2.75

=====

# SrIn2CoPb
........
Because the physical-chemical standards of traditional colouring have been observed by adapting the new machine to them, ceramists using the DWD065 obtain better chromatic development, richer colours and, in general, lower costs. Goodbye, then, to compulsory four-colour processes. As a rule, almost anything is possible with digital too - but reformulating an ink from scratch as a function of graphic performance requirements would, with “traditional digital”, involve exorbitant costs. .... more ...